# Input
┌──
# Mn2CdReAu

A relaxed Mn2CdReAu crystal (PBE, Alexandria via LeMat-Bulk). Values from VASP.

Quantum ESPRESSO input file:
```
&SYSTEM
  ibrav = 0, nat = 5, ntyp = 4
/
ATOMIC_SPECIES
Mn 54.94 Mn.upf
Re 186.21 Re.upf
Au 196.97 Au.upf
Cd 112.41 Cd.upf
ATOMIC_POSITIONS crystal
Mn 0.500 0.000 0.000
Re 0.000 0.500 0.000
Au 0.000 0.000 0.000
Cd 0.500 0.500 0.500
Mn 0.000 0.000 0.500
CELL_PARAMETERS angstrom
4.678 0.000 0.000
0.000 4.987 0.000
0.000 0.000 4.678
```

SG: P4/mmm
Total DFT energy (no corrections), eV for the cell shown: -24.00
Energy of formation, eV per atom: 2.20
N(E_F), states/eV/cell: 7.2
Total magnetic moment, μB per formula unit: 2.5

~~~~~

Entry 1:
Below is a relaxed PmSc2Se crystal, with properties calculated at the GGA-PBE level.

Unit cell a=3.5628 b=3.5628 c=29.4219 alpha=90.00 beta=90.00 gamma=120.00
Closest atoms and distances in Å follow each position.
Space group R-3m (No. 166, hexagonal axes)
Asymmetric unit:
Pm 0.0000 0.0000 0.0000 [3 per cell]  2 Sc 3.25, 6 Pm 3.56
Sc 0.0000 0.0000 0.1103 [6 per cell]  3 Se 2.64
Se 0.0000 0.0000 0.5000 [3 per cell]  6 Sc 2.64

Summary:
Total magnetization ... 0.000 μB/cell
Uncorrected energy ... -5.738 eV per atom

Entry 2:
Below is a relaxed SbCl crystal, with properties calculated at the GGA-PBE level.

Unit cell a=12.8793 b=12.8793 c=3.2855 alpha=90.00 beta=90.00 gamma=90.00
Closest atoms and distances in Å follow each position.
Space group P4/m (No. 83)
Asymmetric unit:
Sb 0.0409 0.1523 0.0000 [4 per cell]  2 Sb 2.87
Sb 0.2972 0.5705 0.5000 [4 per cell]  3 Cl 2.46-2.72
Cl 0.1477 0.6488 0.0000 [4 per cell]  2 Sb 2.72
Cl 0.2185 0.3961 0.5000 [4 per cell]  1 Sb 2.46

Summary:
Energy above the most stable polymorph in this dataset ... 170 meV per atom
Total magnetization ... 0.000 μB/cell

Entry 3:
Below is a relaxed CsMg3In crystal, with properties calculated at the GGA-PBE level.

Unit cell a=5.7903 b=5.7903 c=5.7903 alpha=90.00 beta=90.00 gamma=90.00
Closest atoms and distances in Å follow each position.
Space group Pm-3m (No. 221)
Asymmetric unit:
Cs 0.0000 0.0000 0.0000 [1 per cell]  12 Mg 4.09
Mg 0.0000 0.5000 0.5000 [3 per cell]  2 In 2.90
In 0.5000 0.5000 0.5000 [1 per cell]  6 Mg 2.90

Summary:
ΔH_f (0 K) ... 137 kJ/mol of formula units
Energy above the most stable polymorph in this dataset ... 0 meV per atom
Total magnetization ... 0.000 μB/cell

Entry 4:
Below is a relaxed SrLaCd2 crystal, with properties calculated at the GGA-PBE level.

Unit cell a=8.7311 b=8.7311 c=7.6874 alpha=90.00 beta=90.00 gamma=90.00
Closest atoms and distances in Å follow each position.
Space group I-42d (No. 122)
Asymmetric unit:
Sr 0.0000 0.0000 0.0000 [4 per cell]  4 Cd 3.29
La 0.0000 0.0000 0.5000 [4 per cell]  4 Cd 3.17
Cd 0.2396 0.7500 0.6250 [8 per cell]  2 La 3.17, 2 Sr 3.29

Summary:
ΔH_f (0 K) ... 16 kJ/mol of formula units
Total magnetization ... 0.000 μB/cell

~~~~~

# V2SnO GGA+U relaxed
# Energy relative to the lowest polymorph listed for this composition   4.051 eV per formula unit
data_V2SnO
_chemical_formula_sum 'V8 Sn4 O4'
_cell_length_a 6.430
_cell_length_b 6.430
_cell_length_c 6.430
_cell_angle_alpha 90.00
_cell_angle_beta 90.00
_cell_angle_gamma 90.00
_symmetry_space_group_name_H-M 'F m -3 m'
_symmetry_Int_Tables_number 225
_symmetry_space_group_name_Hall '-F 4 2 3'
loop_
_atom_site_label
_atom_site_type_symbol
_atom_site_fract_x
_atom_site_fract_y
_atom_site_fract_z
_atom_site_occupancy
V1 V 0.250 0.250 0.250 1
Sn1 Sn 0.000 0.000 0.000 1
O1 O 0.000 0.000 0.500 1

~~~~~

[1]
# Ca2LaTc (PBE, optimized geometry)
data_Ca2LaTc
_cell_length_a 6.026
_cell_length_b 6.026
_cell_length_c 3.458
_cell_angle_alpha 90.00
_cell_angle_beta 90.00
_cell_angle_gamma 117.98
_space_group_name_H-M_alt 'P 1'
_space_group_IT_number 1
_space_group_name_Hall 'P 1'
loop_
_atom_site_label
_atom_site_type_symbol
_atom_site_fract_x
_atom_site_fract_y
_atom_site_fract_z
Ca1 Ca 0.000 0.000 0.000
Ca2 Ca 0.500 0.500 0.000
Tc1 Tc 0.000 0.500 0.500
La1 La 0.500 0.000 0.500
└──
# Wanted
Copy the material further up from the first line to the one with "_space_group_name_Hall 'P" verbatim.
# Response
# Mn2CdReAu

A relaxed Mn2CdReAu crystal (PBE, Alexandria via LeMat-Bulk). Values from VASP.

Quantum ESPRESSO input file:
```
&SYSTEM
  ibrav = 0, nat = 5, ntyp = 4
/
ATOMIC_SPECIES
Mn 54.94 Mn.upf
Re 186.21 Re.upf
Au 196.97 Au.upf
Cd 112.41 Cd.upf
ATOMIC_POSITIONS crystal
Mn 0.500 0.000 0.000
Re 0.000 0.500 0.000
Au 0.000 0.000 0.000
Cd 0.500 0.500 0.500
Mn 0.000 0.000 0.500
CELL_PARAMETERS angstrom
4.678 0.000 0.000
0.000 4.987 0.000
0.000 0.000 4.678
```

SG: P4/mmm
Total DFT energy (no corrections), eV for the cell shown: -24.00
Energy of formation, eV per atom: 2.20
N(E_F), states/eV/cell: 7.2
Total magnetic moment, μB per formula unit: 2.5

~~~~~

Entry 1:
Below is a relaxed PmSc2Se crystal, with properties calculated at the GGA-PBE level.

Unit cell a=3.5628 b=3.5628 c=29.4219 alpha=90.00 beta=90.00 gamma=120.00
Closest atoms and distances in Å follow each position.
Space group R-3m (No. 166, hexagonal axes)
Asymmetric unit:
Pm 0.0000 0.0000 0.0000 [3 per cell]  2 Sc 3.25, 6 Pm 3.56
Sc 0.0000 0.0000 0.1103 [6 per cell]  3 Se 2.64
Se 0.0000 0.0000 0.5000 [3 per cell]  6 Sc 2.64

Summary:
Total magnetization ... 0.000 μB/cell
Uncorrected energy ... -5.738 eV per atom

Entry 2:
Below is a relaxed SbCl crystal, with properties calculated at the GGA-PBE level.

Unit cell a=12.8793 b=12.8793 c=3.2855 alpha=90.00 beta=90.00 gamma=90.00
Closest atoms and distances in Å follow each position.
Space group P4/m (No. 83)
Asymmetric unit:
Sb 0.0409 0.1523 0.0000 [4 per cell]  2 Sb 2.87
Sb 0.2972 0.5705 0.5000 [4 per cell]  3 Cl 2.46-2.72
Cl 0.1477 0.6488 0.0000 [4 per cell]  2 Sb 2.72
Cl 0.2185 0.3961 0.5000 [4 per cell]  1 Sb 2.46

Summary:
Energy above the most stable polymorph in this dataset ... 170 meV per atom
Total magnetization ... 0.000 μB/cell

Entry 3:
Below is a relaxed CsMg3In crystal, with properties calculated at the GGA-PBE level.

Unit cell a=5.7903 b=5.7903 c=5.7903 alpha=90.00 beta=90.00 gamma=90.00
Closest atoms and distances in Å follow each position.
Space group Pm-3m (No. 221)
Asymmetric unit:
Cs 0.0000 0.0000 0.0000 [1 per cell]  12 Mg 4.09
Mg 0.0000 0.5000 0.5000 [3 per cell]  2 In 2.90
In 0.5000 0.5000 0.5000 [1 per cell]  6 Mg 2.90

Summary:
ΔH_f (0 K) ... 137 kJ/mol of formula units
Energy above the most stable polymorph in this dataset ... 0 meV per atom
Total magnetization ... 0.000 μB/cell

Entry 4:
Below is a relaxed SrLaCd2 crystal, with properties calculated at the GGA-PBE level.

Unit cell a=8.7311 b=8.7311 c=7.6874 alpha=90.00 beta=90.00 gamma=90.00
Closest atoms and distances in Å follow each position.
Space group I-42d (No. 122)
Asymmetric unit:
Sr 0.0000 0.0000 0.0000 [4 per cell]  4 Cd 3.29
La 0.0000 0.0000 0.5000 [4 per cell]  4 Cd 3.17
Cd 0.2396 0.7500 0.6250 [8 per cell]  2 La 3.17, 2 Sr 3.29

Summary:
ΔH_f (0 K) ... 16 kJ/mol of formula units
Total magnetization ... 0.000 μB/cell

~~~~~

# V2SnO GGA+U relaxed
# Energy relative to the lowest polymorph listed for this composition   4.051 eV per formula unit
data_V2SnO
_chemical_formula_sum 'V8 Sn4 O4'
_cell_length_a 6.430
_cell_length_b 6.430
_cell_length_c 6.430
_cell_angle_alpha 90.00
_cell_angle_beta 90.00
_cell_angle_gamma 90.00
_symmetry_space_group_name_H-M 'F m -3 m'
_symmetry_Int_Tables_number 225
_symmetry_space_group_name_Hall '-F 4 2 3'
loop_
_atom_site_label
_atom_site_type_symbol
_atom_site_fract_x
_atom_site_fract_y
_atom_site_fract_z
_atom_site_occupancy
V1 V 0.250 0.250 0.250 1
Sn1 Sn 0.000 0.000 0.000 1
O1 O 0.000 0.000 0.500 1

~~~~~

[1]
# Ca2LaTc (PBE, optimized geometry)
data_Ca2LaTc
_cell_length_a 6.026
_cell_length_b 6.026
_cell_length_c 3.458
_cell_angle_alpha 90.00
_cell_angle_beta 90.00
_cell_angle_gamma 117.98
_space_group_name_H-M_alt 'P 1'
_space_group_IT_number 1
_space_group_name_Hall 'P 1'